Moving abroad is one of the freshest starts you can possibly get. I should know. Since moving abroad in January 2013, I've since lived in 6 countries full-time and have been a digital nomad through another 6.
Think about it: you’re moving to a new country where in most situations no one knows you. This is amplified if you’re moving abroad solo, without a partner or a friend.
While I find this incredibly liberating, it can also be terrifying. It’s now up to you to make friends and put yourself out there. Since no one knows you, no one will invite you places and talk you up to their friends.
Give it some time and effort and this will start to change (especially if you take these tips to heart!). Once you settle in and start making friends and putting yourself out there, you’ll soon start meeting friends of friends and will find your crew abroad.
After you've gone after what you want and you've moved to another country, it's time for you to settle in. A big aspect of settling in is finding your community abroad.
It can all feel a little daunting in the beginning but I'm here to confirm that there are ways to speed up the process. Some of my best friends are now people I've met abroad and even my husband I met while living in a hostel in Panama!
So, let's dive right into my 11 tips on how to make friends abroad.
Short on time? Here's the cheat sheet
Here are my 11 biggest tips on how to make friends abroad:
- Realize Your All in the Same Boat
- Think of It Like Friendship Dating
- Utilize Facebook Groups/Social Media
- Make Your Default Answer YES
- Host Your Own Meetup
- Follow Up with Those You Liked
- Hang Out with Your Coworkers
- Practice the Local Language
- Join a Sport or Club
- Spend Your Days Outside
- Don't Let Goodbyes Deter You
1. Realize Your All in the Same Boat

Although I'm not the one that thinks you should keep your circle tight to only other expats when you move abroad, it is a really good starting point.
And that's because pretty much all expats are looking for friends. We're all in the same boat, whether it seems that way or not.
All of us, especially the ones who have recently moved to a place, are looking to meet people. You're actually doing everyone a favor if you take the first step to say hi or suggest a coffee date with someone you just met.
This I hope takes some pressure off.
Spoiler though: Just because you have at least some common ground (you both chose to live in the same foreign country), it doesn't mean all expats will be your friend or need to be your friend. I still expect you to follow your gut and hang out with people you actually enjoy hanging out with. It does mean though you might have more first friendship dates looking for the one that clicks.
2. Think of It Like Friendship Dating

To piggyback off where tip 1 left off, making friends abroad will be a lot easier the moment you start thinking of it like dating.
There's actually even dating apps that have "find a friend" options.
Just like dating, you have to put yourself out there and more likely than not you have to kiss a lot of toads to find your prince (or princess). Now, I'm not suggesting you kiss these new friends (that's probably not the reputation you want around town) but I do mean you'll likely need to go on a handful of first "dates" to find someone you want to continue seeing.
A few great apps for making international friends abroad are (just note that these apps could be more or less active based on where you're living):
3. Utilize Facebook Groups/Social Media

There’s a lot of cons to Facebook but once you move abroad, you’ll find the pros, too. And the biggest of them all are the Facebook groups for expats. These groups will be your lifeline to events and good tips to settling in (finding out where to get certain products, clothes, and foods).
I highly recommend joining all the expat groups for your new city or country but most places will have a “women’s only” group, and that one is typically the best. For whatever reason, women’s only groups tend to be more supportive and have fewer trolls.
You can also use other social media platforms to learn about events or even reach out to people you know who live in the same city.
My bestie in Sarajevo happened because we met online (via our Instagram accounts). I commented on a picture telling her I was moving to Sarajevo in a week. We started DMing and met for a coffee one of my first days in the city. We quickly connected and still talk most days even though I no longer live there.
4. Make Your Default Answer YES

Now that you’ve joined the Facebook groups, you’re going to learn about a ton of events happening in your area. This is when you'll need to start saying YES to everything.
There are going to be a wide range of events for parties, meetups, and random hobbies that you probably never even considered before. If it’s something that even slightly interests you, you should go. Maybe it’ll be terrible and you’ll go home just knowing a new thing that you’re not into but maybe it’ll be great and you’ll meet like-minded people or learn about a new interest you now have.
Either way, until you find what sticks say, yes, yes, yes, to everything you can.
If you're more introverted and have trouble putting yourself out there, I suggest making yourself a 30-day "say yes" challenge. That means in those 30 days you push yourself to say yes to all (safe) invites, knowing that there's a time limit to the madness. After those 30 days you should walk away with at least 1 friend. If not though, take a month off and try again after a mental break.
5. Host Your Own Meetup

Better than just taking what comes your way, if there’s something you enjoy and you don’t already see a meetup happening, host your own!
This can be something as simple as, “I’m new to town and would like to meet new people on the beach this Saturday,” or what I did, “I just found this cool new bar and would love to grab some drinks for a ladies night this Wednesday.”
That meetup was the only one I ever hosted because out of that one night, I met 2 of my best friends in Da Nang and plenty of others that I enjoy seeing out on the weekends.
You could even decide to host something more niche like a book club or a video game night. Whatever it is you enjoy doing, don’t be shy to try and find others in your area that are into the same thing. I think you’ll be pleasantly surprised by how diverse expat communities can be.
I recommend posting the event on either Meetup or on a Facebook group - whichever makes you feel more comfortable.
6. Follow Up with Those You Liked

In my opinion, this tip is the trickiest one.
I really enjoy meeting people at bars or making random conversations at coffee shops but have a hard time following through with the ones I click with. This step is going to be crucial for turning those random people you know into people you’re friends with.
If you meet someone at one of these meetups or really get along with a coworker, connect with them. Ask them for their social media or their phone number and go ahead and schedule a time to grab lunch or a beer. Taking that next step is fundamental in finding your friends.
This recently happened to me. I kept running into a girl at this same coffee shop we both frequented or while we both took our dogs on walks. I’d even see her at the grocery store and even randomly at my boxing classes.
We always chatted and shared some laughs but it took weeks for me to make the next move and ask her on a friendship date. We now continue to run into each other by accident but also plan for lunch or beach dates every week and have turned into great friends.
It can be intimidating to go for the next step but I promise the sooner you rip the bandaid off and realize it's not so scary, you'll be thankful you went for it!
7. Hang Out with Your Coworkers

Working in-person, as a teacher, tour guide, or Peace Corps volunteer, has always been my biggest lifeline to making friends with locals and other expats. It’s a pretty simple way to meet people since you’re forced to spend a lot of time with them.
Not all of your co-workers will become your best friends but from my experience, usually one of them does, especially if you give them a chance outside of working hours.
If you’re on the fence between working in-person and working online, let this be a vote for getting a job in-person. It’s much easier to meet people when you’re given friends day 1.
At the very least, these people will show you around, introduce you to their friends, and will make settling in much easier.
Although I'll get more into this in the next tip, this is also one of the best ways to make friends with locals. Unlike expats, locals tend to already have their own circles so aren't necessarily trying as hard as the foreigners to make friends. But, as co-workers, you'll spend a lot of time together and get given the chance to bond.
8. Practice the Local Language

Between two parts of the piece: materials data:
┌──
# Ag3MoF7
Theoretical X-ray powder pattern, λ = 1.5418 Å (Cu Kα). Input: the GGA+U geometry in Alexandria.

The 8 most intense peaks (5 to 70 degrees two-theta), sorted by position:
- d = 3.346 Å, I 44
- d = 3.187 Å, I 100
- d = 3.152 Å, I 46
- d = 2.804 Å, I 33
- d = 2.748 Å, I 17
- d = 2.008 Å, I 52
- d = 1.956 Å, I 15
- d = 1.921 Å, I 29

Atomic structure:
Cell: 8.0552 7.8251 6.6152 Å, 90.00 123.82 90.00°
Space group Cm (No. 8)
Unique sites:
Ag  0.0000  0.0000  0.0000 [2 per cell]
Ag  0.4927  0.2420  0.5107 [4 per cell]
Mo  0.0390  0.5000  0.0328 [2 per cell]
F  0.1261  0.2814  0.2482 [4 per cell]
F  0.1422  0.5000  0.8014 [2 per cell]
F  0.3402  0.0000  0.1309 [2 per cell]
F  0.3485  0.5000  0.2522 [2 per cell]
F  0.3617  0.1806  0.7807 [4 per cell]

----------

Record 1
Diffraction record for Fe4Ni2Pt5. The PXRD pattern is computed, not measured: it uses a GGA-PBE-relaxed structure and Cu Kα X-rays.

Most intense lines, 2θ from 15° to 90°, sorted by position:
2θ/deg, d_spacing, I/Imax, (hkl)
22.84, 3.893, 55, 0 0 1
30.63, 2.919, 25, 1 4 0
36.70, 2.449, 22, 1 5 0
38.54, 2.336, 61, 1 4 1
39.20, 2.298, 54, 2 1 1
40.95, 2.204, 59, 2 2 1
43.67, 2.073, 100, 1 5 1
46.66, 1.947, 43, 0 0 2

Cell lengths 5.8245, 13.4960, 3.8932 Å; angles 90.00, 90.00, 90.00 degrees
Space group Pbam (No. 55)
Inequivalent atoms, fractional coordinates:
Fe 0.1073 0.1278 0.0000 [4 per cell]
Fe 0.2002 0.4535 0.0000 [4 per cell]
Ni 0.0029 0.2936 0.0000 [4 per cell]
Pt 0.0000 0.0000 0.5000 [2 per cell]
Pt 0.0931 0.5942 0.5000 [4 per cell]
Pt 0.1830 0.8048 0.5000 [4 per cell]



Record 2
Diffraction record for FeNiPt5. The PXRD pattern is computed, not measured: it uses a GGA-PBE-relaxed structure and Cu Kα X-rays.

Most intense lines, 2θ from 15° to 90°, sorted by position:
2θ/deg, d_spacing, I/Imax, (hkl)
24.11, 3.691, 17, 0 2 0
32.64, 2.743, 16, 2 0 0
40.99, 2.202, 100, 2 2 0
46.83, 1.940, 34, 2 0 2
49.38, 1.845, 15, 0 4 0
70.42, 1.337, 20, 2 4 2
82.93, 1.164, 26, 4 2 2
86.74, 1.123, 12, 2 6 0

Cell lengths 5.4822, 7.3818, 5.4919 Å; angles 90.00, 90.00, 90.00 degrees
Space group Cmmm (No. 65)
Inequivalent atoms, fractional coordinates:
Fe 0.0000 0.0000 0.0000 [2 per cell]
Ni 0.0000 0.5000 0.5000 [2 per cell]
Pt 0.0000 0.5000 0.0000 [2 per cell]
Pt 0.2500 0.2500 0.2607 [8 per cell]



Record 3
Diffraction record for Fe4Ni2Pt. The PXRD pattern is computed, not measured: it uses a GGA-PBE-relaxed structure and Cu Kα X-rays.

Most intense lines, 2θ from 15° to 90°, sorted by position:
2θ/deg, d_spacing, I/Imax, (hkl)
21.93, 4.054, 8, 2 2 0
25.77, 3.457, 11, 3 1 1
26.94, 3.310, 12, 2 2 2
31.20, 2.867, 19, 4 0 0
34.08, 2.631, 7, 3 3 1
44.71, 2.027, 100, 4 4 0
65.08, 1.433, 15, 8 0 0
82.41, 1.170, 30, 8 4 4

Cell lengths 11.4662, 11.4662, 11.4662 Å; angles 90.00, 90.00, 90.00 degrees
Space group Fd-3m (No. 227, origin choice 2)
Inequivalent atoms, fractional coordinates:
Fe 0.0000 0.0000 0.0000 [16 per cell]
Fe 0.1166 0.3750 0.3750 [48 per cell]
└──
End of the materials data:

I know I’ve been focusing a lot on making expat friends, and while making friends who understand your culture and your language will be really helpful on the mental and emotional aspects of moving abroad, having local friends is just as important.
The issue here is typically the language.
If you already speak the native language, it’s up to you to chat up strangers at the bar or coffee shop. They’re in their home country, with their friends and family, so in most cases, they won’t be as eager to meet new people as other expats are.
When you don’t speak the native language, joining a language immersion program, hiring a local as a teacher, or participating in language exchanges will help you not only learn the language but will make you do so in-person with other people. Using apps at home is great but you’re bypassing the potential friendships if you choose to learn this way.
If you're moving abroad with your family, it's especially helpful for your children to learn the local language to quickly make friends their own age and adapt better in school.
Warning: you might be a little jealous with how quickly your child is able to learn a language compared to you!
9. Join a Sport or Club

Playing sports has introduced me to so many friends abroad, especially locals. I’ve been an athlete my entire life so sports are something that I’ve always relied on, in my home country or abroad.
When I first moved to Ecuador, I joined a running club and later played in a local soccer league. The soccer league was especially great in immersing me in the local community. Every week there was a mini-tournament in a different neighborhood in the town. We’d all go there together and play among 6 or so other games. The entire neighborhood would turn up to watch, eat snacks, and drink beer.
Since I was on one of the teams, it made me feel like I belonged. It also gave locals the courage to come and speak with me because they assumed I could speak Spanish and was living in town, not just a tourist passing through.
When I lived in Vietnam, I got into boxing. That was another amazing way to meet friends. Although they don’t have weekly tournaments like soccer did, I still go to practice a few nights a week and have met a lot of locals and foreigners at the gym.
In Trieste, where I live now, I've turned to sailing and am hoping to join a rowing team. Whatever the locals in the area are doing, I'm keen to try to put myself out there and learn a new sport along the way.
The same goes for joining a club or volunteering if sports aren't really your thing. My husband loves video games, so while living in Ho Chi Minh, he joined a group of foreigners and locals who organized weekly video game tournaments. It was a great place for him to relax after work but also a way to meet people with similar interests.
10. Spend Your Days Outside

There’s a lot of time I really just want to spend some time by myself, so don’t worry, this tip isn’t an attempt to take away all of your alone time. Instead, for those days you’d be happy to chat with others, get out of your house!
A few simple ideas are:
- If you need to work, work from a coffee shop, without headphones in.
- If you just want to relax, take your book to a bar, café or a park.
- If it’s late at night, go to the bar and chat up strangers, you never know who you’ll meet.
These tips are great for meeting friends but might also introduce you to your significant other if you’re traveling solo.
I met my now-husband by buying him a shot of tequila on a random night out in Panama City. That night, I didn’t want to stay in but had no friends in town to go out with. We were both staying at the same hostel but hadn’t spoken much more than a simple hello.
I grabbed all the guys that were in that night and asked if they wanted to go out. An hour into the night, I invited him for a shot and the rest is history. We even both had our own plans to leave Panama in about a month but decided to enjoy the time together anyways. After going our separate ways, we met back up in Europe and have been traveling together since.
You really never know when you’ll meet your new best friends or your new significant other. So try to push the shyness aside, put yourself out, and find your people abroad.
11. Don't Let Goodbyes Deter You

As an expat, goodbyes are part of the lifestyle.
Whether it’s the goodbyes you’ve already said to your friends and family or the goodbyes you’ll say to new friends abroad, it’s a part of the package that can be tough to swallow. Unless you plan to move somewhere permanently and only make friends with locals and others also living there permanently, it’s only a matter of time before you or your new friend will move.
Because of this, I’ve gone in waves with wanting to meet new people.
When I first moved abroad in 2013, I was excited to meet anyone and everyone, regardless of if they were a local, an expat like me, or a traveler only in town for the night. A few years into my expat journey, I was working in the tourism industry, so much of this was still true.
But then the goodbyes started taking their toll on me. When I lived in South Korea and Ho Chi Minh City, I still made friends, mainly with my co-workers, but I could sense I was holding myself back. I had the growing attitude of, “What’s the point?,” knowing I wasn’t planning to stay in either place for more than a year.
Moving to Da Nang though, I woke up. I realized how dumb that mindset was and how, yes, while goodbyes do suck, all the wonderful friends I now have around the world have made them worth it.
Sharing your time abroad with a good friend will also amplify your experience and bond you with that person more than you might realize. I started putting myself back out there, not worrying so much if the other person was planning to move soon or not.
How Will You Make Your New Friends Abroad?
I've lived in a handful of new places now since Da Nang and the energy I have to put myself out there still comes in waves but the moment I remind myself how much better life in general is when you share it with friends, the happier I am with myself when I go on a coffee date or meet up with someone for an after work beer.
Do know that some communities are harder to break into than others and not all countries will be the same but so long as you put in some effort, good will come from it.